
Map, representation of a geographic area, usually a portion of the earth's surface, drawn or printed on a flat surface. In most instances a map is a diagrammatic rather than a pictorial representation of the terrain; it usually contains a number of generally accepted symbols, which indicate the various natural, artificial, or cultural, features of the area it covers.

Types of Maps

Maps may be used for a variety of purposes, and as a result a number of specialized types of maps have been developed.

Topographic Maps

The basic type of map used to represent land areas is the topographic map. Such maps show the natural features of the area covered as well as certain artificial features, known as cultural features. Political boundaries, such as the limits of towns, countries, and states, are also shown. Because of the great variety of information included on them, topographic maps are most often used as general reference maps.

Special-Purpose, or Thematic, Maps

Among the most important of the special-purpose maps are hydrographic and aviation charts. Hydrographic charts are used for the navigation of ships and cover the surface of the oceans and other large bodies of water and their shores. Over the water portion of a chart, depths are shown at frequent intervals by printing the number of fathoms of water at low tide. Shoal areas are circled or shaded to give them greater visibility, and the limits of channels are shown by lines. The type of bottom, such as sand, mud, or rock, is also indicated. An important feature of such charts is the exact location of lighthouses, buoys, and other aids to navigation. The only other shore features shown on a chart are such landmarks as tall buildings or prominent peaks on which a navigator may wish to take a bearing. Aviation charts for use over land somewhat resemble topographic maps but bear in addition the location of radio beacons, airways, and the areas covered by the beams of radio range stations.

Other special-purpose maps include political maps, which show only towns and political divisions without topographic features; geologic maps, showing the geologic structure of an area; and maps indicating the geographic distribution of crops, land use, rainfall, population, and hundreds of other kinds of social and scientific data. Another useful type of map is the relief map, which is a three-dimensional model of the terrain of an area. Such maps are usually carved out of clay or plaster of paris. To emphasize relief, the vertical scale of relief maps is usually several times the horizontal scale. Such maps can also be manufactured by stamping plastic sheets in a mold. Relief maps are extensively used in military and engineering planning.

~~~
Entry one
144
Properties=species:S:1:pos:R:3 method="wB97M-V/def2-TZVPD" spin_multiplicity=1 mol_weight_g_mol=737.10 gap_ev=9.41 charge=0
C 14.092 16.669 11.002
C 14.405 17.337 9.660
O 13.942 16.503 8.606
H 14.213 17.386 11.814
H 14.666 15.765 11.205
H 13.055 16.344 11.076
H 15.484 17.441 9.547
H 13.901 18.300 9.568
H 14.155 16.992 7.808
C 18.580 12.373 13.612
C 19.691 13.357 14.108
O 20.096 14.198 13.015
H 18.804 11.834 12.692
H 17.609 12.867 13.560
H 18.515 11.632 14.409
H 20.615 12.852 14.388
H 19.329 13.925 14.965
H 19.838 15.084 13.279
C 11.534 14.290 16.836
C 11.131 13.490 18.123
O 10.253 14.283 18.866
H 10.612 14.607 16.349
H 12.038 13.622 16.137
H 12.126 15.164 17.107
H 12.013 13.293 18.732
H 10.610 12.593 17.787
H 10.797 14.849 19.419
C 16.025 14.192 16.261
C 17.264 13.771 17.038
O 17.920 14.943 17.417
H 15.385 13.325 16.097
H 16.301 14.665 15.319
H 15.327 14.869 16.753
H 17.947 13.181 16.427
H 16.984 13.142 17.883
H 18.724 14.644 17.848
C 12.423 9.395 16.066
C 12.832 10.858 15.864
O 14.180 10.957 16.085
H 11.333 9.387 16.044
H 12.754 8.976 17.016
H 12.685 8.690 15.276
H 12.317 11.495 16.584
H 12.685 11.125 14.818
H 14.238 10.739 17.018
C 8.590 17.192 13.471
C 9.420 16.071 14.083
O 10.573 15.863 13.301
H 7.604 17.210 13.934
H 8.518 16.945 12.411
H 9.098 18.153 13.543
H 8.772 15.197 14.151
H 9.762 16.348 15.080
H 10.357 15.323 12.536
C 12.954 13.509 7.031
C 12.984 13.189 8.540
O 12.415 14.314 9.170
H 13.352 12.661 6.473
H 13.537 14.403 6.808
H 11.941 13.665 6.662
H 14.012 12.971 8.827
H 12.366 12.316 8.748
H 13.046 15.032 9.082
C 18.119 15.043 9.597
C 16.904 14.234 9.205
O 17.266 12.915 9.052
H 18.490 14.868 10.606
H 17.853 16.100 9.585
H 18.926 14.895 8.879
H 16.462 14.478 8.239
H 16.130 14.303 9.970
H 16.960 12.457 9.838
C 13.400 17.015 15.324
C 12.285 18.055 14.920
O 12.047 18.049 13.528
H 13.041 16.001 15.148
H 13.606 17.079 16.392
H 14.365 17.247 14.872
H 12.638 19.046 15.205
H 11.354 17.881 15.460
H 11.607 17.204 13.411
C 17.231 16.339 13.239
C 18.285 16.936 14.181
O 19.517 16.825 13.515
H 16.253 16.686 13.573
H 17.245 15.249 13.212
H 17.388 16.714 12.228
H 18.349 16.317 15.076
H 18.131 17.997 14.380
H 19.475 17.519 12.854
C 17.994 9.820 10.453
C 16.893 10.165 11.505
O 16.372 11.404 11.184
H 18.566 8.976 10.839
H 18.693 10.648 10.331
H 17.585 9.731 9.446
H 17.328 10.067 12.499
H 16.093 9.425 11.465
H 15.906 11.739 11.953
C 13.028 9.316 11.287
C 13.159 7.799 11.307
O 14.276 7.522 10.515
H 12.712 9.669 10.305
H 13.906 9.879 11.602
H 12.263 9.636 11.995
H 12.344 7.287 10.794
H 13.313 7.341 12.284
H 14.171 7.833 9.613
C 16.060 7.271 13.869
C 16.002 8.249 15.060
O 16.607 7.756 16.236
H 17.102 7.090 13.605
H 15.631 7.657 12.944
H 15.574 6.349 14.187
H 14.991 8.543 15.343
H 16.503 9.198 14.872
H 16.585 8.488 16.857
C 9.674 12.558 13.822
C 9.709 11.067 13.796
O 9.013 10.676 14.966
H 8.716 12.964 13.501
H 10.471 12.994 13.219
H 9.891 12.936 14.821
H 10.740 10.717 13.831
H 9.217 10.648 12.918
H 8.096 10.932 14.844
C 13.297 12.960 12.156
~~~
• So much for the data records:

Basic Elements of a Map

For a map to contain a large amount of easily read information, a system of symbols must be employed. Many commonly used symbols have become generally accepted or are readily understood. Thus cities and towns are indicated by dots or patches of shading; streams and bodies of water are often printed in blue; and political boundaries are shown by colored ribbons or dotted lines. A cartographer, as mapmakers are called, may, however, devise a great variety of symbols to suit various needs. For example, a dot may be used to symbolize the presence of 10,000 head of cattle, or crossed pickaxes may be used to denote the location of a mine. The symbols used on a map are defined in the map's key, or legend.

Geographic Grid

In order to locate a feature on a map or to describe the extent of an area, it is necessary to refer to the map's geographic grid. This grid is made up of meridians of longitude and parallels of latitude. By agreed convention, longitude is marked 180° east and 180° west from 0° at Greenwich, England. Latitude is marked 90° north and 90° south from the 0° parallel of the equator. Points on a map can be accurately defined by giving degrees, minutes, and seconds for both latitude and longitude (see Latitude and Longitude). Maps are usually arranged so that true north is at the top of the sheet, and are provided with a compass rose or some other indication of magnetic variation (see Magnetic Pole).


The scale to which a map is drawn represents the ratio of the distance between two points on the earth and the distance between the two corresponding points on the map. The scale is commonly represented in figures, as 1:100,000, which means that one unit measured on the map (say 1 cm) represents 100,000 of the same units on the earth's surface. A map to this scale is also sometimes called a centimeter-to-the-kilometer map. On most maps the scale is indicated in the margin, and frequently a divided line showing the scale length of such units as 1, 5, and 10 km or mi, or both, on the original area is provided. The scales used in maps vary widely. Ordinary topographic maps, such as those of the U.S. issued by the U.S. Geological Survey, are usually made to a scale of 1:62,500 (about 1 in to the mile). For military purposes scales as large as 1:15,800 are used. Since the early years of the 20th century, a number of governments have been collaborating on a standard map of the world at a scale of 1:1,000,000.


The varying heights of hills and mountains, and the depths of valleys and gorges as they appear on a topographic map, are known as relief; unless the relief is adequately represented, the map does not give a clear picture of the area it represents. In the earliest maps, relief was often indicated pictorially by small drawings of mountains and valleys, but this method is extremely inaccurate and has been generally supplanted by a system of contour lines. The contour lines represent points in the mapped area that are at equal elevations. The contour interval selected may be any unit, depending on the amount of relief and the scale of the map, such as 50 m, and in drawing the map the cartographer joins together all points that are at a height of 50 m above sea level, all points at a height of 100 m, all points at a height of 150 m, and so on. The shapes of the contour lines provide an accurate representation of the shapes of hills and depressions, and the lines themselves show the actual elevations. Closely spaced contour lines indicate steep slopes.

Other methods of indicating elevation include the use of colors or tints, and of hachures (short parallel lines) or shadings. When colors are used for this purpose, a graded series of tones is selected to color areas of similar elevations; for example, all the land between 0 and 100 m above sea level may be colored a light shade of green, all land between 100 and 200 m a darker shade, and so on. Hachures are used to show slopes; they are made heavier and closer together for steeper slopes. Often only southeast slopes are hachured or shaded, giving somewhat the effect of a bird's-eye view of the area illuminated by light from the northwest. Shadings or carefully drawn hachures, neither of which give elevations, are more easily interpreted than contour lines and are sometimes used in conjunction with them for greater clarity.

Map Projections

For the representation of the entire surface of the earth without any kind of distortion, a map must have a spherical surface; a map of this kind is known as a globe. A flat map cannot accurately represent the rounded surface of the earth except for very small areas where the curvature is negligible. To show large portions of the earth's surface or to show areas of medium size with accuracy, the map must be drawn in such a way as to compromise among distortions of areas, distances, and direction. In some cases the cartographer may wish to achieve accuracy in one of these qualities at the expense of distortion in the others. The various methods of preparing a flat map of the earth's surface are known as projections and are classified as geometric or analytic, depending on the technique of development. Geometric projections are classified according to the type of surface on which the map is assumed to be developed, such as cylinders, cones, or planes; plane projections are also known as azimuthal or zenithal projections. Analytical projections are developed by mathematical computation.

Cylindrical Projections

In making a cylindrical projection, the cartographer regards the surface of the map as a cylinder that encircles the globe, touching it at the equator. The parallels of latitude are extended outward from the globe, parallel to the equator, as parallel planes intersecting the cylinder. Because of the curvature of the globe, the parallels of latitude nearest the poles when projected onto the cylinder are spaced progressively closer together, and the projected meridians of longitude are represented as parallel straight lines, perpendicular to the equator and continuing to the North and South poles. After the projection is completed, the cylinder is assumed to be slit vertically and rolled out flat. The resulting map represents the world's surface as a rectangle with equally spaced parallel lines of longitude and unequally spaced parallel lines of latitude. Although the shapes of areas on the cylindrical projection are increasingly distorted toward the poles, the size relationship of areas on the map is equivalent to the size relationship of areas on the globe.

The familiar Mercator projection, developed mathematically by the Flemish geographer Gerardus Mercator, is related to the cylindrical projection, with certain modifications. A Mercator map is accurate in the equatorial regions but greatly distorts areas in the high latitudes. Directions, however, are represented faithfully, and this is especially valuable in navigation. Any line cutting two or more meridians at the same angle is represented on a Mercator map as a straight line. Such a line, called a rhumb line, represents the path of a ship or an airplane following a steady compass course. Using a Mercator map, a navigator can plot a course simply by drawing a line between two points and reading the compass direction from the map. See Navigation.

Azimuthal Projection

This group of map projections is derived by projecting the globe onto a plane that may be tangent to it at any point. The group includes the gnomonic, orthographic, and stereographic plane projections. Two other types of plane projections are known as the azimuthal equal area and the azimuthal equidistant; they cannot be projected but are developed on a tangent plane. The gnomonic projection is assumed to be formed by rays projected from the center of the earth. In the orthographic projection the source of projecting rays is at infinity, and the resulting map resembles the earth as it would appear if photographed from outer space. The source of projecting rays for the stereographic projection is a point diametrically opposite the tangent point of the plane on which the projection is made.

The nature of the projection varies with the source of the projecting rays. Thus the gnomonic projection covers areas of less than a hemisphere, the orthographic covers hemispheres, the azimuthal equal area and the stereographic projections map larger areas, and the azimuthal equidistant includes the entire globe. In all these types of projection, however (except in the case of the azimuthal equidistant), the portion of the earth that appears on the map depends on the point at which the imaginary plane touches the earth. A plane-projection map with the plane tangent to the surface of the earth at the equator would represent the equatorial region, but would not show the entire region in one map; with the plane tangent at either of the poles, the map would represent the polar regions.

Because the source of the gnomonic projection is at the center of the earth, all great circles, that is, the equator, all meridians, and any other circles that divide the globe into two equal parts, are represented as straight lines. A great circle that connects any two points on the earth is always the shortest distance between the two points. The gnomonic map is therefore a great aid to navigation when used in conjunction with the Mercator.

Conic Projections

In preparing a conic projection a cone is assumed to be placed over the top of the globe. After projection, the cone is assumed to be slit and rolled out to a flat surface. The cone touches the globe at all points on a single parallel of latitude, and the resulting map is extremely accurate for all areas near that parallel, but becomes increasingly distorted for all other areas in direct proportion to the distance of the areas from the standard parallel.

To provide greater accuracy, the Lambert conformal conic projection assumes a cone that passes through a part of the surface of the globe, intersecting two parallels. Because the resulting map is accurate in the immediate vicinity of both parallels, the area represented between the two standard parallels is less distorted than the same area reproduced by a single conic projection.

The polyconic projection is a considerably more complicated projection in which a series of cones is assumed, each cone touching the globe at a different parallel, and only the area in the immediate vicinity of each parallel is used. By compiling the results of the series of limited conic projections, a large area may be mapped with considerable accuracy. Because a cone cannot be made to touch the globe in the extreme polar and equatorial regions, the various conic projections are used to map comparatively small areas in the temperate zones. Polyconic maps offer a good compromise in the representation of area, distance, and direction over small areas.

Mathematical Computation

For accurate delineation of large areas on a small scale, a number of so-called projections have been developed mathematically. Maps based on mathematical computation represent the entire earth in circles, ovals, or other shapes. For special purposes the earth often is drawn not within the original form of the projection but within irregular, joined parts. Maps of this type, called interrupted projections, include Goode's interrupted homolosine and Eckert's equal-area projection.


Mapmaking, or cartography, has been greatly assisted by technological advancements since World War II. Perhaps most important has been the use of remote sensing techniques, that is, techniques that gather data about an object without actually touching it. Examples include aerial photography (including infrared photography) and satellite photography. Satellite triangulation has substantially reduced the margin of error in determining the exact location of points on the earth's surface. Among the more recent innovations has been the use of the computer to draw maps.

**Misplaced records of molecules**
Entry 1:
15
Properties=species:S:1:pos:R:3:forces:R:3 method="wB97M-V/def2-TZVPD" e_lumo_ha=0.032 energy_ha=-382.9136 gap_ev=10.9 smiles="COCC(=O)OC" total_charge=0 multiplicity=1 e_homo_ev=-10.02
C 0.6389 1.4394 1.9249 0.085 -0.057 0.289
O 0.3741 1.9658 0.6425 -0.033 0.059 -0.049
C -0.5014 1.1723 -0.0910 -0.097 -0.014 -0.105
C 0.1258 -0.1372 -0.5521 0.333 -0.039 0.021
O 1.2975 -0.4138 -0.4978 -0.480 0.091 -0.041
O -0.8208 -0.9503 -1.0480 0.032 0.125 0.061
C -0.3438 -2.1930 -1.5661 0.064 -0.239 -0.109
H 1.3047 2.1423 2.4287 -0.087 -0.092 -0.067
H 1.1321 0.4617 1.8646 -0.060 0.134 0.011
H -0.2889 1.3444 2.5109 0.118 0.018 -0.098
H -1.4252 0.9421 0.4636 0.132 0.013 -0.057
H -0.7875 1.7348 -0.9868 0.028 -0.102 0.103
H 0.2032 -2.0285 -2.4978 -0.066 -0.022 0.101
H 0.3213 -2.6787 -0.8499 -0.099 0.045 -0.063
H -1.2299 -2.8012 -1.7459 0.129 0.081 0.003

Entry 2:
9
Properties=species:S:1:pos:R:3:forces:R:3 method="wB97M-V/def2-TZVPD" e_lumo_ha="-0.034 / -0.034" energy_ha=-946.2270 gap_ev="7.4 / 7.1" total_charge=0 multiplicity=1 e_homo_ev="-8.36 / -8.01"
C 0.5569 -0.7999 0.3666 1.889 0.133 1.602
N -0.9197 0.7172 -0.7114 1.896 -0.124 -2.167
N 1.6864 -1.0838 -0.1579 -1.458 0.285 0.244
S -1.9640 1.4765 0.2082 1.300 3.171 -0.093
S 3.0734 -0.4683 -0.5346 0.772 0.403 -0.222
H 0.4074 0.0879 1.0491 0.345 -0.953 -0.931
H -0.0910 -1.6343 0.4717 -1.004 -0.324 -0.164
H -0.0813 1.2410 -1.1352 -1.995 -0.331 1.159
H -2.6680 0.4636 0.4435 -1.744 -2.259 0.572

Entry 3:
41
Properties=species:S:1:pos:R:3:forces:R:3 method="wB97M-V/def2-TZVPD" e_lumo_ha=-0.332 energy_ha=-2671.1480 gap_ev=6.6 total_charge=+2 multiplicity=1 e_homo_ev=-15.64
C 0.0014 0.1525 -4.8896 0.001 -0.437 -0.282
C 0.0094 0.8915 -3.6796 0.023 3.145 4.538
H 0.0047 0.8580 -5.7429 -0.002 -0.144 0.257
H -0.9080 -0.4830 -4.9025 0.257 0.243 -0.002
H 0.9020 -0.4954 -4.9067 -0.255 0.246 -0.002
O 0.0151 1.5161 -2.6988 -0.026 -3.144 -4.813
I -0.0313 -3.2465 -0.8342 0.006 0.620 -0.306
Sc -0.0073 -0.9258 0.4785 -0.029 -1.122 1.228
P 2.4203 -0.0212 0.2290 2.051 -0.272 0.694
C 3.1258 1.3988 1.1211 -0.574 0.301 0.179
C 3.1717 -1.4083 1.1490 -0.039 -0.260 -0.057
H 4.2531 -1.2172 1.1554 -0.211 -0.233 0.110
H 4.4819 -0.1055 -1.0369 -0.377 0.078 -0.069
H 2.9514 -2.3575 0.6420 0.182 0.175 0.165
H 3.0682 -0.6314 -2.0161 0.291 0.067 0.001
H 2.6787 1.4687 2.1179 0.213 0.039 -0.105
H 2.7918 -1.4536 2.1806 0.135 0.082 -0.325
C 3.4270 0.0946 -1.2787 -0.399 -0.211 -0.555
H 4.2125 1.2464 1.1974 -0.362 0.072 -0.032
H 3.3305 1.1104 -1.6824 0.111 -0.215 0.016
H 2.9093 2.3206 0.5666 0.173 -0.114 0.188
P -2.4200 0.0255 0.2302 -2.073 -0.225 0.704
C -3.1001 1.4591 1.1214 0.591 0.297 0.177
C -3.4266 0.1577 -1.2769 0.401 -0.218 -0.553
H -2.9961 -2.2997 0.6471 -0.176 0.175 0.165
H -4.2744 -1.1356 1.1646 0.212 -0.228 0.101
H -2.8141 -1.3982 2.1841 -0.134 0.085 -0.328
C -3.1966 -1.3461 1.1538 0.044 -0.266 -0.055
H -3.0800 -0.5744 -2.0140 -0.290 0.071 -0.002
H -4.4851 -0.0241 -1.0361 0.383 0.072 -0.062
H -4.1887 1.3259 1.2052 0.363 0.055 -0.042


The basis of a modern map is a careful survey giving geographical locations and relations of a large number of points in the area being mapped. Today, nearly all original maps make use of aerial photographs in addition to traditional land-surveying information (see Aerial Survey; Surveying). Satellite photographs can furnish a wealth of accurate information about various features on the earth's surface, including the location of mineral deposits, the extent of urban sprawl, vegetation infestations, and soil types.

Compilation and Reproduction

Once the data have been collected, the map must be carefully planned with regard to its final use so that all relevant information can be rendered clearly and accurately. The collected surveys and photographs are then used to enter a large number of points on a grid of crossed lines corresponding to the projection chosen for the map. Elevations are determined and contour lines, if used, are drawn directly from stereoscopic pairs of photographs by using very complex instruments such as the multiplex. The courses of roads and rivers and the positions of other features are drawn in the same way. Final preparation of a map for printing begins by making a series of sheets, one for each color used on the map. These sheets are made of an opaque coated plastic; lines and symbols are scribed onto the surface by a sharp etching tool that removes the opaque coating. Each such sheet is a negative from which a lithographic plate is made. See Lithography.

Another type of map is an orthophotomap, in which actual photographs form the body of the map. Such a map is a mosaic of carefully pieced portions of aerial photographs, which have been changed by the use of an orthophotoscope to eliminate scale and angle distortion. During the 1970s advancements were made in computer-generated maps. Data can be stored on the coordinates of a geographic area and on the distribution of statistical phenomena in the area. A device such as a continuous-curve plotter enables a computer to draw accurate maps from the stored data. Computer-generated maps can also be displayed on a video screen, where an operator can easily make alterations in the content. Because such maps, and each incorporated change, can be stored in the computer, they are useful in furnishing an animated picture of a change over a period of time.

History of Maps

C10H10BrNO2S | wB97M-V/def2-TZVPD

Each line ends with the Mulliken charge.
Element x y z (Å)
C (1.513, -0.161, 2.975)  -0.6889
C (0.361, -0.898, 3.289)  -0.3842
C (1.602, 0.437, 1.710)  -0.7422
C (-0.683, -1.015, 2.441)  -0.6552
C (0.499, 0.332, 0.826)  0.8145
C (-0.642, -0.333, 1.233)  0.5089
C (-0.253, -0.756, -2.181)  0.5990
C (-0.476, 0.429, -1.332)  -0.8596
C (1.381, 1.985, -0.855)  -1.0831
C (-1.426, -1.292, -3.090)  -0.5611
N (0.628, 0.802, -0.525)  0.2790
O (0.671, -1.561, -2.138)  -0.5780
O (-3.112, 0.458, 0.487)  -0.5453
S (-2.017, -0.432, 0.045)  0.4688
Br (-2.237, 0.137, -4.172)  -0.1651
H (2.276, -0.299, 3.796)  0.2728
H (0.334, -1.410, 4.256)  0.3362
H (2.491, 0.925, 1.373)  0.2980
H (-1.488, -1.710, 2.560)  0.3825
H (-1.025, 1.276, -1.782)  0.5433
H (0.875, 2.924, -0.662)  0.3752
H (2.214, 1.972, -0.292)  0.3601
H (1.605, 2.057, -1.915)  0.3512
H (-2.276, -1.720, -2.461)  0.2953
H (-0.815, -2.150, -3.587)  0.3780

Values from the calculation:
Calculated total energy ... -96992.241 eV
E_HOMO ... -8.54 eV
Gap between HOMO and LUMO ... 7.986 eV
LUMO ... -0.552 eV

=====

This record from the OMol25 dataset describes a single CH4N2 molecule in a non-equilibrium geometry. The level of theory is the ωB97M-V functional and the def2-TZVPD basis.

Each line ends with the Löwdin charge.
Positions of all 7 atoms, in Å:
C1 -0.205988 1.055990 -0.035034  -0.12
N1 0.083535 0.085779 0.703575  -0.15
N2 0.443654 -1.102555 0.105921  -0.03
H1 -0.364082 2.049410 0.465734  0.07
H2 -0.010488 1.053983 -1.157166  0.08
H3 0.205771 -1.898183 0.648699  0.06
H4 -0.152402 -1.244424 -0.731729  0.08

Atoms 1-6, force components in eV/Å:
C 1.0 1.8 -1.0
N -0.3 -0.7 1.0
N -0.8 0.2 -2.1
H -0.1 -1.1 -0.6
H -0.7 -0.2 1.2
H 0.0 -0.3 1.3

The SMILES is C=NN. Its molar mass is 44.06 g mol⁻¹. The value obtained for the LUMO energy is 1.240 eV. The value obtained for the total energy is -149.95166 Eh. The relative energy (zero: lowest compared OMol25 entry of this formula, charge and spin) is 57.4 kcal/mol. The charge is 0.

=====

Entry from OMol25: ClN2O10Rb2 as an isolated structure (ωB97M-V with the def2-TZVPD basis set).

Last column: Mulliken charge in e.
Positions of all 15 atoms, in Å:
1 O 0.85819 1.38472 -0.05844  -0.701
2 O -0.11641 0.48625 1.03206  -0.766
3 O 2.47660 2.19740 -1.51617  -0.637
4 O -0.41077 -2.08049 -2.20303  -0.662
5 O -0.43002 -1.44913 0.25514  -0.439
6 O 1.32623 3.60246 0.20854  -0.663
7 Cl 1.29904 2.57374 -0.71588  1.659
8 O -1.94620 -3.49032 -2.42189  -0.706
9 Rb 1.77666 1.01735 1.94870  0.885
10 O -1.51303 -2.89007 -0.43719  -0.609
11 O -0.49988 -1.14055 2.34566  -1.050
12 N -1.28558 -2.83889 -1.69526  1.071
13 O 0.27989 3.06137 -1.62530  -0.708
14 Rb -1.47643 0.23528 3.65732  0.896
15 N -0.33834 -0.66907 1.22574  1.432

The spin multiplicity is 1. As for the total charge: -1. Its total energy is -37267.8785 eV. The orbital gap comes out at 0.1251 Eh. Its HOMO energy is -2.89 eV. As for the LUMO energy: 0.52 eV.

Babylonian Maps

The earliest existing maps were made by the Babylonians about 2300 bc. Cut on clay tiles, they consisted largely of land surveys made for the purposes of taxation. More extensive regional maps, drawn on silk and dating from the 2nd century bc, have been found in China. The ability and need to make maps would appear to be universal. One of the most interesting types of primitive map is the cane chart constructed by the Marshall Islanders in the South Pacific Ocean. This chart is made of a gridwork of cane fibers arranged to show the location of islands. The art of mapmaking was advanced in both the Maya and Inca civilizations, and the Inca as early as the 12th century ad made maps of the lands they conquered.